• Wanted:
Count the lines further down that contain the word "pattern" and give the number alone.

• Contents:
~~~
This entry pairs a crystal structure of LaSb3Ru with its theoretical powder XRD pattern. Radiation: Cu Kα X-rays. Structure: a crystal structure in Alexandria, relaxed with GGA-PBE.
Lines closer than 0.1° are merged.

Main lines, by angle (5° ≤ 2θ ≤ 70°):
| d/Å | intensity | hkl |
| --- | --- | --- |
| 13.169 | 30 | 1 0 0 |
| 2.829 | 55 | 2 2 0 |
| 2.778 | 35 | 2 0 2 |
| 2.632 | 100 | 4 1 1 |
| 2.550 | 15 | 3 2 0 |
| 2.540 | 16 | 2 1 2 |
| 2.513 | 20 | 3 0 2 |
| 2.191 | 62 | 0 2 2 |
| 1.673 | 21 | 4 1 3 |
| 1.364 | 19 | 2 4 2 |

Structural model:
```
LaSb3Ru
1.0
13.1690 0.0000 0.0000
0.0000 6.2649 0.0000
0.0000 0.0000 6.1294
La Sb Ru
4 12 4
direct
0.1953 0.0031 0.2500
0.1953 0.4969 0.7500
0.8047 0.5031 0.2500
0.8047 0.9969 0.7500
0.0008 0.2500 0.0000
0.0008 0.2500 0.5000
0.2883 0.5130 0.2500
0.2883 0.9870 0.7500
0.4422 0.5989 0.7500
0.4422 0.9011 0.2500
0.5578 0.0989 0.7500
0.5578 0.4011 0.2500
0.7117 0.0130 0.2500
0.7117 0.4870 0.7500
0.9992 0.7500 0.0000
0.9992 0.7500 0.5000
0.4031 0.2500 0.0000
0.4031 0.2500 0.5000
0.5969 0.7500 0.0000
0.5969 0.7500 0.5000
```

~~~~~

Tl4Pt: theoretical powder X-ray diffraction pattern (copper Kα), based on a PBE-relaxed structure.
No peak broadening, texture or thermal motion is included.

The 10 most intense peaks (2θ = 5–70°), low angle first:
| d/Å | intensity |
| --- | --- |
| 3.199 | 11 |
| 2.861 | 56 |
| 2.580 | 100 |
| 2.262 | 10 |
| 2.023 | 16 |
| 2.008 | 12 |
| 1.835 | 12 |
| 1.592 | 24 |
| 1.552 | 11 |
| 1.445 | 15 |

Atomic structure:
a = 6.6137 Å, b = 6.6137 Å, c = 6.6137 Å
α = 93.67°, β = 93.67°, γ = 150.67°
Fractional positions:
Tl  0.0679  0.7359  0.8038
Tl  0.2641  0.0679  0.3320
Tl  0.7359  0.9321  0.6680
Tl  0.9321  0.2641  0.1962
Pt  0.5000  0.5000  0.0000

~~~~~

This entry pairs a crystal structure of NbIrW2 with its calculated powder diffraction line list. Radiation: copper Kα. Structure: a DFT-relaxed cell (GGA-PBE, OQMD).
Peak positions follow from Bragg's law for the DFT cell and can differ from measured ones.

Largest 10 diffraction maxima, most intense first, 2θ from 15° to 90°:
hkl, 2θ/deg, intensity
2 2 0, 39.9, 100
4 2 2, 72.5, 35
4 0 0, 57.8, 17
4 4 0, 86.2, 11
1 1 1, 24.1, 4
2 0 0, 27.9, 3
3 1 1, 47.2, 2
4 2 0, 65.4, 1
3 3 1, 63.5, 1
2 2 2, 49.5, 1

Crystal structure
```
data_NbIrW2
_chemical_formula_sum 'Nb4 Ir4 W8'
_space_group_name_H-M_alt 'F -4 3 m'
_space_group_IT_number 216
_space_group_name_Hall 'F -4 2 3'
_cell_length_a 6.385
_cell_length_b 6.385
_cell_length_c 6.385
_cell_angle_alpha 90.00
_cell_angle_beta 90.00
_cell_angle_gamma 90.00
loop_
_atom_site_label
_atom_site_fract_x
_atom_site_fract_y
_atom_site_fract_z
Nb1 0.000 0.000 0.000
Ir1 0.250 0.250 0.250
W1 0.000 0.000 0.500
W2 0.250 0.250 0.750
```
~~~

• Result:
2